Monitoring and auto-starting Node.js services on Windows Server

When relying on various Node.js services (e.g. Butler SOS, Butler, App Duplicator etc), you quickly run into the challenge to ensure all services are always up and running.
A failing service might be fine, as long as it is quickly restarted in a predictable way.
A concrete example could be Qlik Sense or QlikView apps that send status messages to Slack during the execution of their reload scripts. Those messages will fail if Butler is for some reason not running.
This leads us to the conclusion that the services must automatically be
a) started when a server is rebooted, and
b) restarted if they for some reason terminate/die.
Enter process monitors.
At their core, process monitors ensure that the desired processes are always running, i.e. bullet b) above. Some process monitors also offer additional features such as zero-downtime restart of services, memory and performance profiling of the monitored services, being able to monitor different kinds of processes (not only Node.js ditto).
== Attached: calculated crystals ==
[1]
Diffraction record for LiNd2Tc2N6. The PXRD pattern is theoretical, not measured: it uses a DFT-relaxed cell (PBE, Alexandria) and λ = 1.5418 Å (Cu Kα).

Most intense lines, 2θ = 10–80°, low angle first:
2θ = 14.7°, d = 6.020 Å, I 20
2θ = 20.9°, d = 4.258 Å, I 30
2θ = 30.9°, d = 2.892 Å, I 100
2θ = 32.1°, d = 2.787 Å, I 90
2θ = 38.6°, d = 2.332 Å, I 18
2θ = 45.2°, d = 2.007 Å, I 43
2θ = 54.2°, d = 1.692 Å, I 21
2θ = 56.5°, d = 1.629 Å, I 38
2θ = 57.2°, d = 1.609 Å, I 17
2θ = 73.8°, d = 1.284 Å, I 15

Structural model:
Cell lengths 6.827, 6.827, 6.827 Å; angles 48.20, 48.20, 48.20 degrees
Sites, in units of the cell vectors:
Li 0.000 0.000 0.000
Nd 0.208 0.208 0.208
Nd 0.792 0.792 0.792
Tc 0.397 0.397 0.397
Tc 0.603 0.603 0.603
N 0.224 0.741 0.741
N 0.259 0.259 0.776
N 0.259 0.776 0.259
N 0.741 0.224 0.741
N 0.741 0.741 0.224
N 0.776 0.259 0.259

---

[2]
Diffraction record for CeZn9Ir2. The PXRD pattern is theoretical, not measured: it uses a DFT-relaxed cell (PBE, Alexandria) and λ = 1.5418 Å (Cu Kα).

Most intense lines, 2θ = 10–80°, low angle first:
2θ = 11.7°, d = 7.576 Å, I 22
2θ = 20.3°, d = 4.374 Å, I 54
2θ = 36.6°, d = 2.455 Å, I 77
2θ = 38.5°, d = 2.335 Å, I 28
2θ = 41.3°, d = 2.187 Å, I 100
2θ = 44.0°, d = 2.060 Å, I 27
2θ = 47.3°, d = 1.923 Å, I 43
2θ = 51.9°, d = 1.760 Å, I 13
2θ = 64.5°, d = 1.444 Å, I 26
2θ = 77.8°, d = 1.228 Å, I 30

Structural model:
Cell lengths 8.748, 8.748, 2.966 Å; angles 90.00, 90.00, 120.00 degrees
Sites, in units of the cell vectors:
Ce 0.000 0.000 0.000
Zn 0.000 0.500 0.000
Zn 0.187 0.374 0.500
Zn 0.187 0.813 0.500
Zn 0.374 0.187 0.500
Zn 0.500 0.000 0.000
Zn 0.500 0.500 0.000
Zn 0.626 0.813 0.500
Zn 0.813 0.187 0.500
Zn 0.813 0.626 0.500
Ir 0.333 0.667 0.000
Ir 0.667 0.333 0.000


[1]
This entry pairs a crystal structure of MgAl5S8 with its computed powder XRD pattern. Radiation: copper Kα. Structure: a structure optimized by DFT (PBE).
No peak broadening, texture or thermal motion is included.

Cell and atoms:
```
14
Lattice="0.0000 5.0809 5.0809 5.0809 0.0000 5.0809 5.0809 5.0809 0.0000" Properties=species:S:1:pos:R:3 pbc="T T T"
Mg 0.0000 0.0000 0.0000
Al 3.7794 3.7794 3.7794
Al 6.3824 6.3824 3.7794
Al 6.3824 3.7794 6.3824
Al 7.6213 7.6213 7.6213
Al 3.7794 6.3824 6.3824
S 1.3802 1.3802 1.3802
S 3.7007 3.7007 1.3802
S 3.7007 1.3802 3.7007
S 6.2734 3.8884 3.8884
S 1.3802 3.7007 3.7007
S 3.8884 6.2734 3.8884
S 3.8884 3.8884 6.2734
S 6.2734 6.2734 6.2734
```

Principal peaks in the range 2θ = 10–80°, low angle first:
- 15.1°, rel. 19.5
- 24.8°, rel. 15.7
- 29.1°, rel. 44.0
- 30.5°, rel. 44.4
- 35.3°, rel. 89.3
- 46.4°, rel. 33.9
- 50.8°, rel. 100.0
- 60.4°, rel. 11.0
- 63.4°, rel. 17.1
- 74.7°, rel. 14.4



[2]
This entry pairs a crystal structure of Mg2AlS4 with its computed powder XRD pattern. Radiation: copper Kα. Structure: a structure optimized by DFT (PBE).
No peak broadening, texture or thermal motion is included.

Cell and atoms:
```
14
== End of the calculated crystals ==
Adding to the pain is the fact that Sense and QlikView runs on Windows servers, meaning that all those great tools available on Linux cannot be used.
Looking at Node.js specifially, I have found two process monitors to work well on Windows: Forever and PM2.
Forever works well and relies on config files and a CLI for configuration and controlling. That works fine, but forever also feels a bit dated. Looking at the Github repository, little work has been done to project during the past several years. This of course is not necessarily a problem, but still leaves me feeling a bit uneasy using it in a production setting. On the other hand you could argue that forever is stable and works – and therefore exactly what is needed in a production environment… Tricky one.
Forever is not limited to handling Node apps, it can monitor pretty much any script or app.
While primarily targeting Linux environments, forever runs reasonably well on Windows too. By applying some manual tricks (google “run forever as windows service”), forever can be turned into a Windows service that autostarts when Windows boots.
Alternatively, you can use Windows Scheduler to create a task that runs at system startup, the task doing nothing but starting forever – which in turn starts and monitors the desired processes and scripts
PM2 is an open source tool, backed by a company (Keymetrics). Keymetrics offer various add-on services on top of the core PM2 app. The monitoring UI offered by Keymetrics is very nice indeed, but using it also means that you will be sending data to that company… which might not be ok for sensitive production environments. The base, open source PM2 product available on GitHub is however likely to do all you need and then some – I suggest you try it first and decide on additional monitoring later.
A nice thing about PM2 is that its command line interface is easy to use and understand. PM2 also collect quite comprehensive statistics (memory use, CPU load etc) for each monitored process. These metrics can then be easily viewed from a command line prompt.
As an example, let us start a couple of Node.js apps using PM2:
pm2 start path/to/app1.js --name="App 1" pm2 start path/to/app2.js --name="App 2"
Assuming the apps started ok, you can now use “pm2 list” to view stats about the apps.
Let’s say we always want to start those two apps when the server boots.
Just run “pm2 save” from the command line, and PM2 will create a snapshot of what apps are currently being monitored.
Running “pm2 kill” (the kill command is not listed in the online documentation, but exists in recent PM2 versions) will shut down PM2 as well as the monitored apps.
Finally, running “pm2 resurrect” will start PM2 and also start the processes that were running when the “pm2 save” command was executed.
[What comes next are data records, not part of the entry]
........
Starting from a crystal structure in the Materials Project, relaxed with PBE, the X-ray diffraction stick pattern of ErBeNF6 was computed for Cu Kα X-rays.
No peak broadening, texture or thermal motion is included.

Most intense lines, 10 to 90 degrees two-theta, by intensity:
2θ 20.05, I = 100, (0 1 1); 2θ 15.50, I = 61, (1 0 -1); 2θ 14.83, I = 51, (1 0 0); 2θ 27.99, I = 39, (1 1 1); 2θ 21.21, I = 38, (1 1 0); 2θ 29.09, I = 29, (1 1 -2)

```
data_ErBeNF6
_chemical_formula_sum 'Er2 Be2 N2 F12'
_symmetry_space_group_name_H-M 'P 1 21/m 1'
_symmetry_Int_Tables_number 11
_cell_length_a 6.490
_cell_length_b 5.874
_cell_length_c 7.326
_cell_angle_alpha 90.00
_cell_angle_beta 113.01
_cell_angle_gamma 90.00
loop_
_symmetry_equiv_pos_as_xyz
'x,y,z'
'-x,-y,-z'
'-x,y+1/2,-z'
'x,-y+1/2,z'
loop_
_atom_site_label
_atom_site_fract_x
_atom_site_fract_y
_atom_site_fract_z
Er1 0.130 0.250 0.219
Be1 0.280 0.750 0.543
N1 0.295 0.250 0.852
F1 0.090 0.750 0.623
F2 0.147 0.044 0.949
F3 0.256 0.537 0.409
F4 0.489 0.250 0.278
```



Starting from a crystal structure in the Materials Project, relaxed with PBE, the X-ray diffraction stick pattern of Mg14ZnW was computed for Cu Kα X-rays.
No peak broadening, texture or thermal motion is included.

Most intense lines, 10 to 90 degrees two-theta, by intensity:
2θ 37.90, I = 100, (2 0 2); 2θ 16.37, I = 59, (1 0 0); 2θ 24.38, I = 40, (1 0 2); 2θ 33.10, I = 31, (2 0 0); 2θ 36.35, I = 24, (0 0 4); 2θ 18.69, I = 24, (1 0 1)

```
data_Mg14ZnW
_chemical_formula_sum 'Mg14 Zn1 W1'
_symmetry_space_group_name_H-M 'P -6 m 2'
_symmetry_Int_Tables_number 187
_symmetry_space_group_name_Hall 'P -6 2'
_cell_length_a 6.2509
_cell_length_b 6.2509
_cell_length_c 9.8861
_cell_angle_alpha 90.00
_cell_angle_beta 90.00
_cell_angle_gamma 120.00
loop_
_atom_site_label
_atom_site_fract_x
_atom_site_fract_y
_atom_site_fract_z
Mg1 0.0000 0.0000 0.2492
Mg2 0.0141 0.5071 0.2458
Mg3 0.3332 0.1666 0.5000
Mg4 0.3345 0.1673 0.0000
Zn1 0.3333 0.6667 0.5000
W1 0.3333 0.6667 0.0000
```



Starting from a crystal structure in the Materials Project, relaxed with PBE, the X-ray diffraction stick pattern of Ba2Sr3CaMg2Si4O16 was computed for Cu Kα X-rays.
No peak broadening, texture or thermal motion is included.

Most intense lines, 10 to 90 degrees two-theta, by intensity:
2θ 32.30, I = 100, (0 2 0); 2θ 31.50, I = 78, (2 0 2); 2θ 22.41, I = 55, (1 1 1); 2θ 45.73, I = 50, (2 2 2); 2θ 39.66, I = 34, (1 0 4); 2θ 57.09, I = 28, (2 1 5)

```
data_Ba2Sr3CaMg2Si4O16
_chemical_formula_sum 'Ba2 Sr3 Ca1 Mg2 Si4 O16'
_symmetry_space_group_name_H-M 'P 1 m 1'
_symmetry_Int_Tables_number 6
_cell_length_a 7.046
_cell_length_b 5.545
_cell_length_c 9.600
_cell_angle_alpha 90.00
_cell_angle_beta 90.00
_cell_angle_gamma 90.00
loop_
_symmetry_equiv_pos_as_xyz
'x,y,z'
'x,-y,z'
loop_
_atom_site_label
_atom_site_fract_x
_atom_site_fract_y
_atom_site_fract_z
Ba1 0.000 0.000 0.000
Ba2 0.000 0.500 0.499
Sr1 0.337 0.000 0.666
Sr2 0.661 0.000 0.332
Sr3 0.661 0.500 0.834
Ca1 0.331 0.500 0.166
........
In short, PM2 does everything we need to monitor and keep our Qlik Sense support services alive and well.
There is only one catch.. PM2 just refuses to auto-start on server boot.
Which of course is a show stopper.
Starting PM2 at Windows server boot
It took me almost a year to find the solution to this problem, but once I did it is extremely easy to implement.
I have not found any documentation about this, but it seems PM2 relies on there being a system variable called “PM2_HOME”. Or rather, PM2 will start just fine in interactive mode (i.e. from a cmd.exe command prompt) even without this variable existing.
But when running the exact same command (“pm2 resurrect”) from an at-startup task in Windows Scheduler, PM2 fails to start properly. In fact it just fails silently, which is extremely annoying…
The solution is simple:
- Create a c:\pm2 directory (the directory can be called anything and be placed anywhere)
- Create a system wide environment variable called PM2_HOME, and assign it a value of “c:\pm2” (or whatever directory you created in the first step)
- Log out and in again to make the new variable take effect.
- From a command prompt, run “pm2 start path/to/app1” etc for all apps that should be monitored.
- From that same command prompt, run “pm2 save”. You now have a snapshot file in c:\pm2.
- Run “pm2 kill” to stop pm2 itself as well as monitored processes, then “pm2 resurrect” to make sure the desired apps are started by pm2.
- Create a task in Windows Scheduler, set it to trigger on system startup, and simply do a “pm2 resurrect”. Depending on your path settings, you might have to replace “pm2” with the full path to the pm2 executable.
In addition to trigger on system startup, the task should also trigger (for example) every 5 minutes. This ensures that PM2 itself will be restarted if it dies.
In other words: maximum down time will be 5 minutes. - Reboot. PM2 should then launch after the reboot, and also start the apps that were monitored by PM2 when the “pm2 save” was issued.
Mission accomplished.
Run PM2 as a Windows service
The trick of using Windows scheduler to start and keep PM2 alive works, but is not really very elegant.
A better solution would be to run PM2 as a Windows service.
This might actually not be very hard to achieve – the very nice NSSM package makes it easy to convert almost any app into a Windows service.
I have not yet tested PM2 together with NSSM, but would love to hear from those who have. Anyone?